Given
The following is a DFT calculation (GGA-PBEsol) of Sr4GeAs4 after structural relaxation.

Properties
Crystal system   cubic
Energy of formation from the pure elements   -8.89 eV per formula unit
Symmetry   P-43n

a b c (Å): 12.727 12.727 12.727
angles (deg): 90.00 90.00 90.00
Fractional positions:
Sr (0.098, 0.131, 0.643)
Sr (0.098, 0.869, 0.357)
Sr (0.131, 0.357, 0.902)
Sr (0.131, 0.643, 0.098)
Sr (0.143, 0.143, 0.143)
Sr (0.143, 0.369, 0.402)
Sr (0.143, 0.631, 0.598)
Sr (0.143, 0.857, 0.857)
Sr (0.357, 0.098, 0.869)
Sr (0.357, 0.357, 0.643)
Sr (0.357, 0.643, 0.357)
Sr (0.357, 0.902, 0.131)
Sr (0.369, 0.402, 0.143)
Sr (0.369, 0.598, 0.857)
Sr (0.402, 0.143, 0.369)
Sr (0.402, 0.857, 0.631)
Sr (0.598, 0.143, 0.631)
Sr (0.598, 0.857, 0.369)
Sr (0.631, 0.402, 0.857)
Sr (0.631, 0.598, 0.143)
Sr (0.643, 0.098, 0.131)
Sr (0.643, 0.357, 0.357)
Sr (0.643, 0.643, 0.643)
Sr (0.643, 0.902, 0.869)
Sr (0.857, 0.143, 0.857)
Sr (0.857, 0.369, 0.598)
Sr (0.857, 0.631, 0.402)
Sr (0.857, 0.857, 0.143)
Sr (0.869, 0.357, 0.098)
Sr (0.869, 0.643, 0.902)
Sr (0.902, 0.131, 0.357)
Sr (0.902, 0.869, 0.643)
Ge (0.000, 0.000, 0.000)
Ge (0.000, 0.500, 0.250)
Ge (0.000, 0.500, 0.750)
Ge (0.250, 0.000, 0.500)
Ge (0.500, 0.250, 0.000)
Ge (0.500, 0.500, 0.500)
Ge (0.500, 0.750, 0.000)
Ge (0.750, 0.000, 0.500)
As (0.109, 0.380, 0.645)
As (0.109, 0.620, 0.355)
As (0.111, 0.111, 0.889)
As (0.111, 0.889, 0.111)
As (0.120, 0.391, 0.145)
As (0.120, 0.609, 0.855)
As (0.145, 0.120, 0.391)
As (0.145, 0.880, 0.609)
As (0.355, 0.109, 0.620)
As (0.355, 0.891, 0.380)
As (0.380, 0.355, 0.891)
As (0.380, 0.645, 0.109)
As (0.389, 0.389, 0.389)
As (0.389, 0.611, 0.611)
As (0.391, 0.145, 0.120)
As (0.391, 0.855, 0.880)
As (0.609, 0.145, 0.880)
As (0.609, 0.855, 0.120)
As (0.611, 0.389, 0.611)
As (0.611, 0.611, 0.389)
As (0.620, 0.355, 0.109)
As (0.620, 0.645, 0.891)
As (0.645, 0.109, 0.380)
As (0.645, 0.891, 0.620)
As (0.855, 0.120, 0.609)
As (0.855, 0.880, 0.391)
As (0.880, 0.391, 0.855)
As (0.880, 0.609, 0.145)
As (0.889, 0.111, 0.111)
As (0.889, 0.889, 0.889)
As (0.891, 0.380, 0.355)
As (0.891, 0.620, 0.645)



The following is a DFT calculation (GGA-PBEsol) of SrZnGe2As after structural relaxation.

Properties
Crystal system   tetragonal
DOS(E_F)   2.5 states/eV per cell
Energy of formation from the pure elements   1.60 eV per formula unit
Symmetry   P4/mmm

a b c (Å): 4.961 4.961 5.720
angles (deg): 90.00 90.00 90.00
Fractional positions:
Sr (0.000, 0.000, 0.000)
Zn (0.500, 0.500, 0.000)
Ge (0.000, 0.500, 0.500)
Ge (0.500, 0.000, 0.500)
As (0.000, 0.000, 0.500)



The following is a DFT calculation (GGA-PBEsol) of TcGeAs after structural relaxation.

Properties
Crystal system   monoclinic
DOS(E_F)   1.1 states/eV per cell
Energy of formation from the pure elements   -0.90 eV per formula unit
Symmetry   Cm

a b c (Å): 4.758 4.758 7.624
angles (deg): 117.41 117.41 38.67
Fractional positions:
Tc (0.000, 0.000, 0.000)
Tc (0.693, 0.693, 0.598)
Ge (0.444, 0.444, 0.682)
Ge (0.987, 0.987, 0.331)
As (0.244, 0.244, 0.899)
As (0.695, 0.695, 0.263)



The following is a DFT calculation (GGA-PBEsol) of Ge4Te7As2 after structural relaxation.

Properties
Crystal system   trigonal
DOS(E_F)   0.1 states/eV per cell
Raw formation energy   -0.061 eV/atom
Symmetry   R-3m

a b c (Å): 23.209 23.209 23.209
angles (deg): 10.20 10.20 10.20
Fractional positions:
Ge (0.075, 0.075, 0.075)
Ge (0.308, 0.308, 0.308)
Ge (0.692, 0.692, 0.692)
Ge (0.925, 0.925, 0.925)
Te (0.000, 0.000, 0.000)
Te (0.148, 0.148, 0.148)
Te (0.234, 0.234, 0.234)
Te (0.383, 0.383, 0.383)
Te (0.617, 0.617, 0.617)
Te (0.766, 0.766, 0.766)
Te (0.852, 0.852, 0.852)
As (0.459, 0.459, 0.459)
As (0.541, 0.541, 0.541)



The following is a DFT calculation (GGA-PBEsol) of Ge2Te5As2 after structural relaxation.

Properties
Crystal system   trigonal
DOS(E_F)   0.2 states/eV per cell
Raw formation energy   -0.050 eV/atom
Symmetry   P-3m1

a b c (Å): 4.103 4.103 16.313
angles (deg): 90.00 90.00 120.00
Fractional positions:

Wanted
Quote the data above verbatim, please.

Response
The following is a DFT calculation (GGA-PBEsol) of Sr4GeAs4 after structural relaxation.

Properties
Crystal system   cubic
Energy of formation from the pure elements   -8.89 eV per formula unit
Symmetry   P-43n

a b c (Å): 12.727 12.727 12.727
angles (deg): 90.00 90.00 90.00
Fractional positions:
Sr (0.098, 0.131, 0.643)
Sr (0.098, 0.869, 0.357)
Sr (0.131, 0.357, 0.902)
Sr (0.131, 0.643, 0.098)
Sr (0.143, 0.143, 0.143)
Sr (0.143, 0.369, 0.402)
Sr (0.143, 0.631, 0.598)
Sr (0.143, 0.857, 0.857)
Sr (0.357, 0.098, 0.869)
Sr (0.357, 0.357, 0.643)
Sr (0.357, 0.643, 0.357)
Sr (0.357, 0.902, 0.131)
Sr (0.369, 0.402, 0.143)
Sr (0.369, 0.598, 0.857)
Sr (0.402, 0.143, 0.369)
Sr (0.402, 0.857, 0.631)
Sr (0.598, 0.143, 0.631)
Sr (0.598, 0.857, 0.369)
Sr (0.631, 0.402, 0.857)
Sr (0.631, 0.598, 0.143)
Sr (0.643, 0.098, 0.131)
Sr (0.643, 0.357, 0.357)
Sr (0.643, 0.643, 0.643)
Sr (0.643, 0.902, 0.869)
Sr (0.857, 0.143, 0.857)
Sr (0.857, 0.369, 0.598)
Sr (0.857, 0.631, 0.402)
Sr (0.857, 0.857, 0.143)
Sr (0.869, 0.357, 0.098)
Sr (0.869, 0.643, 0.902)
Sr (0.902, 0.131, 0.357)
Sr (0.902, 0.869, 0.643)
Ge (0.000, 0.000, 0.000)
Ge (0.000, 0.500, 0.250)
Ge (0.000, 0.500, 0.750)
Ge (0.250, 0.000, 0.500)
Ge (0.500, 0.250, 0.000)
Ge (0.500, 0.500, 0.500)
Ge (0.500, 0.750, 0.000)
Ge (0.750, 0.000, 0.500)
As (0.109, 0.380, 0.645)
As (0.109, 0.620, 0.355)
As (0.111, 0.111, 0.889)
As (0.111, 0.889, 0.111)
As (0.120, 0.391, 0.145)
As (0.120, 0.609, 0.855)
As (0.145, 0.120, 0.391)
As (0.145, 0.880, 0.609)
As (0.355, 0.109, 0.620)
As (0.355, 0.891, 0.380)
As (0.380, 0.355, 0.891)
As (0.380, 0.645, 0.109)
As (0.389, 0.389, 0.389)
As (0.389, 0.611, 0.611)
As (0.391, 0.145, 0.120)
As (0.391, 0.855, 0.880)
As (0.609, 0.145, 0.880)
As (0.609, 0.855, 0.120)
As (0.611, 0.389, 0.611)
As (0.611, 0.611, 0.389)
As (0.620, 0.355, 0.109)
As (0.620, 0.645, 0.891)
As (0.645, 0.109, 0.380)
As (0.645, 0.891, 0.620)
As (0.855, 0.120, 0.609)
As (0.855, 0.880, 0.391)
As (0.880, 0.391, 0.855)
As (0.880, 0.609, 0.145)
As (0.889, 0.111, 0.111)
As (0.889, 0.889, 0.889)
As (0.891, 0.380, 0.355)
As (0.891, 0.620, 0.645)



The following is a DFT calculation (GGA-PBEsol) of SrZnGe2As after structural relaxation.

Properties
Crystal system   tetragonal
DOS(E_F)   2.5 states/eV per cell
Energy of formation from the pure elements   1.60 eV per formula unit
Symmetry   P4/mmm

a b c (Å): 4.961 4.961 5.720
angles (deg): 90.00 90.00 90.00
Fractional positions:
Sr (0.000, 0.000, 0.000)
Zn (0.500, 0.500, 0.000)
Ge (0.000, 0.500, 0.500)
Ge (0.500, 0.000, 0.500)
As (0.000, 0.000, 0.500)



The following is a DFT calculation (GGA-PBEsol) of TcGeAs after structural relaxation.

Properties
Crystal system   monoclinic
DOS(E_F)   1.1 states/eV per cell
Energy of formation from the pure elements   -0.90 eV per formula unit
Symmetry   Cm

a b c (Å): 4.758 4.758 7.624
angles (deg): 117.41 117.41 38.67
Fractional positions:
Tc (0.000, 0.000, 0.000)
Tc (0.693, 0.693, 0.598)
Ge (0.444, 0.444, 0.682)
Ge (0.987, 0.987, 0.331)
As (0.244, 0.244, 0.899)
As (0.695, 0.695, 0.263)



The following is a DFT calculation (GGA-PBEsol) of Ge4Te7As2 after structural relaxation.

Properties
Crystal system   trigonal
DOS(E_F)   0.1 states/eV per cell
Raw formation energy   -0.061 eV/atom
Symmetry   R-3m

a b c (Å): 23.209 23.209 23.209
angles (deg): 10.20 10.20 10.20
Fractional positions:
Ge (0.075, 0.075, 0.075)
Ge (0.308, 0.308, 0.308)
Ge (0.692, 0.692, 0.692)
Ge (0.925, 0.925, 0.925)
Te (0.000, 0.000, 0.000)
Te (0.148, 0.148, 0.148)
Te (0.234, 0.234, 0.234)
Te (0.383, 0.383, 0.383)
Te (0.617, 0.617, 0.617)
Te (0.766, 0.766, 0.766)
Te (0.852, 0.852, 0.852)
As (0.459, 0.459, 0.459)
As (0.541, 0.541, 0.541)



The following is a DFT calculation (GGA-PBEsol) of Ge2Te5As2 after structural relaxation.

Properties
Crystal system   trigonal
DOS(E_F)   0.2 states/eV per cell
Raw formation energy   -0.050 eV/atom
Symmetry   P-3m1

a b c (Å): 4.103 4.103 16.313
angles (deg): 90.00 90.00 120.00
Fractional positions: